Data:
........
[1]
Compound: PtRhW2
Source: the Alexandria database
Functional: GGA-PBE
Structure: relaxed

## Properties
Crystal system: tetragonal
ΔH_f (0 K) in meV per atom: -181
Total energy in eV/atom: -10.01

Cell lengths 2.7486, 2.7486, 8.0957 Å; angles 90.00, 90.00, 90.00 degrees
Space group P4/mmm (No. 123)
Symmetry-distinct sites (fractional):
Pt: 0.0000 0.0000 0.0000
Rh: 0.0000 0.0000 0.5000
W: 0.5000 0.5000 0.2568

***

[2]
Compound: Pt4Rh5W
Source: the Alexandria database
Functional: GGA-PBE
Structure: relaxed

## Properties
Crystal system: triclinic
ΔH_f (0 K) in meV per atom: -25
Total energy in eV/atom: -7.41

Cell lengths 4.6495, 5.5058, 6.7370 Å; angles 89.92, 70.16, 73.03 degrees
Space group P1 (No. 1)
Symmetry-distinct sites (fractional):
Pt: 0.0000 0.0000 0.0000
Pt: 0.1052 0.2285 0.6125
Pt: 0.5532 0.6139 0.7836
Pt: 0.6787 0.8327 0.3783
Rh: 0.1069 0.7256 0.5958
Rh: 0.3389 0.1883 0.1897
Rh: 0.5684 0.1054 0.7740
Rh: 0.6809 0.3282 0.3907
Rh: 0.9671 0.5013 0.0090
W: 0.3276 0.6345 0.1983

***

[3]
Compound: PtRhW2
Source: the Alexandria database
Functional: GGA-PBE
Structure: relaxed

## Properties
Crystal system: monoclinic
ΔH_f (0 K) in meV per atom: -143
Total energy in eV/atom: -9.97

Cell lengths 9.1893, 2.7599, 4.9371 Å; angles 90.00, 99.67, 90.00 degrees
Space group Cm (No. 8)
Symmetry-distinct sites (fractional):
Pt: 0.0000 0.0000 0.0000
Rh: 0.2565 0.5000 0.2788
W: 0.0028 0.5000 0.4893
W: 0.2509 0.0000 0.7794

***

[4]
Compound: PtRh3W2
Source: the Alexandria database
Functional: GGA-PBE
Structure: relaxed

## Properties
Crystal system: orthorhombic
ΔH_f (0 K) in meV per atom: 1
Total energy in eV/atom: -9.00

Cell lengths 4.5386, 14.6732, 2.7849 Å; angles 90.00, 90.00, 90.00 degrees
Space group Cmmm (No. 65)
Symmetry-distinct sites (fractional):
Pt: 0.0000 0.0000 0.0000
Rh: 0.0000 0.1919 0.5000
Rh: 0.0000 0.5000 0.5000
W: 0.0000 0.3488 0.0000

***

[5]
Compound: PtRhW2
Source: the Alexandria database
Functional: GGA-PBE
Structure: relaxed

## Properties
Crystal system: tetragonal
ΔH_f (0 K) in meV per atom: 510
Total energy in eV/atom: -9.31

Cell lengths 7.0703, 7.0703, 5.3991 Å; angles 90.00, 90.00, 90.00 degrees
Space group I-42d (No. 122)
Symmetry-distinct sites (fractional):
Pt: 0.0000 0.0000 0.0000
Rh: 0.0000 0.0000 0.5000
W: 0.2353 0.2500 0.6250

***

[6]
Compound: Pt3RhW
Source: the Alexandria database
Functional: GGA-PBE
Structure: relaxed

## Properties
Crystal system: cubic
ΔH_f (0 K) in meV per atom: 1430
Total energy in eV/atom: -6.26

Cell lengths 4.7790, 4.7790, 4.7790 Å; angles 90.00, 90.00, 90.00 degrees
Space group Pm-3m (No. 221)
Symmetry-distinct sites (fractional):
Pt: 0.0000 0.0000 0.5000
Rh: 0.5000 0.5000 0.5000
W: 0.0000 0.0000 0.0000

***

[7]
Compound: PtRh6W5
Source: the Alexandria database
Functional: GGA-PBE
Structure: relaxed

## Properties
Crystal system: orthorhombic
ΔH_f (0 K) in meV per atom: -187
Total energy in eV/atom: -9.76

Cell lengths 3.9048, 7.8429, 11.7263 Å; angles 90.00, 90.00, 90.00 degrees
Space group Immm (No. 71)
Symmetry-distinct sites (fractional):
Pt: 0.0000 0.0000 0.0000
Rh: 0.0000 0.2447 0.5000
Rh: 0.0000 0.2505 0.1678
W: 0.0000 0.0000 0.3343
W: 0.0000 0.5000 0.0000
W: 0.0000 0.5000 0.3304

***

[8]
Compound: Pt2Rh3W
Source: the Alexandria database
Functional: GGA-PBE
Structure: relaxed

## Properties
Crystal system: triclinic
ΔH_f (0 K) in meV per atom: -153
Total energy in eV/atom: -8.00

Cell lengths 2.7628, 4.7953, 6.9349 Å; angles 102.67, 90.12, 90.02 degrees
Space group P-1 (No. 2)
Symmetry-distinct sites (fractional):
Pt: 0.0011 0.2741 0.3291
Rh: 0.4993 0.2311 0.6784
Rh: 0.5000 0.0000 0.0000
W: 0.0000 0.5000 0.0000

***

[9]
Compound: Pt2Rh6W3
Source: the Alexandria database
Functional: GGA-PBE
Structure: relaxed

## Properties
Crystal system: triclinic
ΔH_f (0 K) in meV per atom: -88
Total energy in eV/atom: -8.73

Cell lengths 4.8136, 6.4390, 6.5234 Å; angles 104.04, 108.43, 108.68 degrees
Space group P-1 (No. 2)
Symmetry-distinct sites (fractional):
........

Work order:
It remains to set down the listing above with every line break kept.

Written answer:
[1]
Compound: PtRhW2
Source: the Alexandria database
Functional: GGA-PBE
Structure: relaxed

## Properties
Crystal system: tetragonal
ΔH_f (0 K) in meV per atom: -181
Total energy in eV/atom: -10.01

Cell lengths 2.7486, 2.7486, 8.0957 Å; angles 90.00, 90.00, 90.00 degrees
Space group P4/mmm (No. 123)
Symmetry-distinct sites (fractional):
Pt: 0.0000 0.0000 0.0000
Rh: 0.0000 0.0000 0.5000
W: 0.5000 0.5000 0.2568

***

[2]
Compound: Pt4Rh5W
Source: the Alexandria database
Functional: GGA-PBE
Structure: relaxed

## Properties
Crystal system: triclinic
ΔH_f (0 K) in meV per atom: -25
Total energy in eV/atom: -7.41

Cell lengths 4.6495, 5.5058, 6.7370 Å; angles 89.92, 70.16, 73.03 degrees
Space group P1 (No. 1)
Symmetry-distinct sites (fractional):
Pt: 0.0000 0.0000 0.0000
Pt: 0.1052 0.2285 0.6125
Pt: 0.5532 0.6139 0.7836
Pt: 0.6787 0.8327 0.3783
Rh: 0.1069 0.7256 0.5958
Rh: 0.3389 0.1883 0.1897
Rh: 0.5684 0.1054 0.7740
Rh: 0.6809 0.3282 0.3907
Rh: 0.9671 0.5013 0.0090
W: 0.3276 0.6345 0.1983

***

[3]
Compound: PtRhW2
Source: the Alexandria database
Functional: GGA-PBE
Structure: relaxed

## Properties
Crystal system: monoclinic
ΔH_f (0 K) in meV per atom: -143
Total energy in eV/atom: -9.97

Cell lengths 9.1893, 2.7599, 4.9371 Å; angles 90.00, 99.67, 90.00 degrees
Space group Cm (No. 8)
Symmetry-distinct sites (fractional):
Pt: 0.0000 0.0000 0.0000
Rh: 0.2565 0.5000 0.2788
W: 0.0028 0.5000 0.4893
W: 0.2509 0.0000 0.7794

***

[4]
Compound: PtRh3W2
Source: the Alexandria database
Functional: GGA-PBE
Structure: relaxed

## Properties
Crystal system: orthorhombic
ΔH_f (0 K) in meV per atom: 1
Total energy in eV/atom: -9.00

Cell lengths 4.5386, 14.6732, 2.7849 Å; angles 90.00, 90.00, 90.00 degrees
Space group Cmmm (No. 65)
Symmetry-distinct sites (fractional):
Pt: 0.0000 0.0000 0.0000
Rh: 0.0000 0.1919 0.5000
Rh: 0.0000 0.5000 0.5000
W: 0.0000 0.3488 0.0000

***

[5]
Compound: PtRhW2
Source: the Alexandria database
Functional: GGA-PBE
Structure: relaxed

## Properties
Crystal system: tetragonal
ΔH_f (0 K) in meV per atom: 510
Total energy in eV/atom: -9.31

Cell lengths 7.0703, 7.0703, 5.3991 Å; angles 90.00, 90.00, 90.00 degrees
Space group I-42d (No. 122)
Symmetry-distinct sites (fractional):
Pt: 0.0000 0.0000 0.0000
Rh: 0.0000 0.0000 0.5000
W: 0.2353 0.2500 0.6250

***

[6]
Compound: Pt3RhW
Source: the Alexandria database
Functional: GGA-PBE
Structure: relaxed

## Properties
Crystal system: cubic
ΔH_f (0 K) in meV per atom: 1430
Total energy in eV/atom: -6.26

Cell lengths 4.7790, 4.7790, 4.7790 Å; angles 90.00, 90.00, 90.00 degrees
Space group Pm-3m (No. 221)
Symmetry-distinct sites (fractional):
Pt: 0.0000 0.0000 0.5000
Rh: 0.5000 0.5000 0.5000
W: 0.0000 0.0000 0.0000

***

[7]
Compound: PtRh6W5
Source: the Alexandria database
Functional: GGA-PBE
Structure: relaxed

## Properties
Crystal system: orthorhombic
ΔH_f (0 K) in meV per atom: -187
Total energy in eV/atom: -9.76

Cell lengths 3.9048, 7.8429, 11.7263 Å; angles 90.00, 90.00, 90.00 degrees
Space group Immm (No. 71)
Symmetry-distinct sites (fractional):
Pt: 0.0000 0.0000 0.0000
Rh: 0.0000 0.2447 0.5000
Rh: 0.0000 0.2505 0.1678
W: 0.0000 0.0000 0.3343
W: 0.0000 0.5000 0.0000
W: 0.0000 0.5000 0.3304

***

[8]
Compound: Pt2Rh3W
Source: the Alexandria database
Functional: GGA-PBE
Structure: relaxed

## Properties
Crystal system: triclinic
ΔH_f (0 K) in meV per atom: -153
Total energy in eV/atom: -8.00

Cell lengths 2.7628, 4.7953, 6.9349 Å; angles 102.67, 90.12, 90.02 degrees
Space group P-1 (No. 2)
Symmetry-distinct sites (fractional):
Pt: 0.0011 0.2741 0.3291
Rh: 0.4993 0.2311 0.6784
Rh: 0.5000 0.0000 0.0000
W: 0.0000 0.5000 0.0000

***

[9]
Compound: Pt2Rh6W3
Source: the Alexandria database
Functional: GGA-PBE
Structure: relaxed

## Properties
Crystal system: triclinic
ΔH_f (0 K) in meV per atom: -88
Total energy in eV/atom: -8.73

Cell lengths 4.8136, 6.4390, 6.5234 Å; angles 104.04, 108.43, 108.68 degrees
Space group P-1 (No. 2)
Symmetry-distinct sites (fractional):